Editor’s note: This post originally appeared on the Health Affairs Blog on May 7, 2015. Click here to view the original.
Although many commentators have criticized the underfunding of public pension plans, relatively few have focused on the huge underfunding of retiree health care plans of states and cities. At the time of Detroit’s bankruptcy, for example, its pension plan was underfunded by over $3 billion, but the unfunded deficit in its retiree health care plan was close to $6 billion.
The good news is that retiree health care plans can legally be revised more easily than pension plans. In specific, the US Supreme Court has recently issued an opinionsetting forth principles of contract interpretation that will lead local governments and public unions to reach explicit agreements on the scope of such plans. Those agreements will probably have to include some cost reductions because the health care plans of many local governments will otherwise be subject to the Affordable Care Act’s 40 percent “Cadillac” tax starting in 2018.
This post will be divided into four parts. It will explain
- the reasons why retiree health care plans have stayed under the radar screen and how that is changing;
- the magnitude of underfunding of retiree health care plans and the implications for state-city budgets;
- the principles of interpreting collective bargaining agreements recently enunciated by the US Supreme Court; and
- the various ways local governments are now trying to manage down their health care obligations over time and strategies that governments and public-sector unions can use to address this challenge.
Staying Below The Radar Screen
Approximately 77 percent of all local governments pay most of the health care premiums for their retirees from the time they retire (often before age 55) until they join Medicare at age 65. Then many local governments continue to pay most of the Medicare premiums for their retirees, and sometimes their premiums for supplemental health insurance (e.g., Medigap). These retiree health care plans are quite costly for local governments. The plans generally offer a broad range of high-quality services, including dental and eye care, with small or no deductibles and co-payments.
Before 2006, however, local governments were not required by the Government Accounting Standards Board (GASB) to publicly disclose their other postemployment benefits” (OPEBs) — composed almost entirely of health care benefits. So it was easy for politicians to approve generous health care plans whose financial effects would not be felt for decades, when those politicians were no longer in office.
Last year GASB proposed to tighten the rules on OPEBs in two key respects. First, it proposed to establish a uniform discount rate for calculating unfunded health care obligations at a level significantly lower than the rate currently utilized by most local governments. A discount rate is applied to reduce long-term liabilities by taking into account the relatively certain investment returns on a plans’ assets, which help finance future benefit payments. Accordingly, a lower discount rate would mean higher unfunded liabilities for retiree health care plans.
GASB also proposed that local governments go beyond the public disclosures required since 2006—in the footnotes to their financial statements—by showing their projected health care obligations as liabilities on their balance sheets. This accounting change would emphasize the financial impact of these unfunded health care obligations, hopefully leading to more attention from local voters and bond rating agencies.
Nevertheless, even GASB has NOT proposed that local governments set aside monies to help finance their future health care obligations, as states and cities usually do for pension obligations. A discount rate is applied to reduce long-term liabilities by taking into account the relatively certain investment returns on plans assets, which help finance future benefit payments. By contrast, state and city governments have on average pre-funded less than 5 percent of their retiree health care obligations; these obligations are typically paid out of current tax revenues.
Scope Of Unfunded Retiree Health Care Obligations
The overall size of the OPEB liabilities of local governments is huge and rising rapidly. In 2009, the General Accounting Office estimated that these liabilities were more than $670 billion. A more recent and comprehensive estimate in the Journal of Health Economics estimated OPEB liabilities of local governments at close to $1 trillion dollars. However, the size of these OPEB liabilities varies widely among states and cities in the United States.
As shown by Chart I, New Jersey has the highest OPEB liabilities per capita of the states, at $7,206 per capita. On the other hand, Chart I shows that several states have low levels of OPEB liabilities per capita — with Idaho the lowest at $53 per capita. These states with low OPEB liabilities per capita have relatively weak public unions and relatively strong fiscal discipline.
Chart I
Source: Standards & Poor’s Rating Services “U.S. State OPEB Liabilities Decline Slightly, But Continue To Vary Widely”
Similarly, as shown by Chart II, there are tremendous differences in unfunded OPEBs among the 30 largest cities in the US. New York City leads the pack by both total amount of OPEB liabilities and OPEB liabilities per household — partly because its OPEB statistics include the retiree health care obligations to the City’s teachers. Conversely, Denver, Minneapolis, and Tampa have kept their OPEB liabilities below $90 million in total amount and $620 per household.
Chart II
Source: The Pew Charitable Trusts: American Cities
In states and cities with large OPEB liabilities, there is almost no advance funding, so these health care benefits are paid out of current tax revenues. As health care benefits grow, they compete for tax dollars with essential services like schools and police. Consider Chart III, which compares health care spending with property tax revenues in four Massachusetts cities. In all four cities, retiree health care spending and local property taxes increased substantially from 2009 to 2013; yet health care spending grew faster than property tax revenues so that such spending consumed a growing percentage of rising property taxes.
Chart III
Source: Massachusetts Taxpayers Foundation
New Legal Guidance From The US Supreme Court
Given the growing unfunded liabilities for retiree health care and their rising conflicts with other public spending priorities, many states and cities have recently tried to manage down these liabilities. However, local governments will face lawsuits by the unions representing public employees in response to any proposal to pare back benefits. In the pension arena, public unions have won almost all these suits because courts have held that most pension benefits are protected explicitly or implicitly by the state’s constitution — which is almost impossible to change.
By contrast, the legal status of health care plans has been more subject to debate. State constitutions do not usually address protections for retiree health care plans. These plans are also exempt from the federal pension protections in ERISA, the federal law governing employee retirement benefits. Moreover, most retiree health care plans have minimal advance funding, so the beneficiaries of such plans are legally unsecured creditors of the relevant public entity. In Stockton, California, for instance, the judge approved the city’s bankruptcy plan, which totally eliminated health care benefits of public retirees while preserving most of their accrued pension benefits.
For solvent local governments, the legal status of retiree health care plans is primarily determined by the collective bargaining agreement with the relevant union.
[Crystal structures that have nothing to do with the piece]
********
(1)
Compound: GdCdPd2
Source: the Materials Project
Functional: GGA-PBE
Structure: relaxed Values from VASP.

```
&SYSTEM
  ibrav = 0, nat = 4, ntyp = 3
/
ATOMIC_SPECIES
Gd 157.25 Gd.upf
Cd 112.41 Cd.upf
Pd 106.42 Pd.upf
CELL_PARAMETERS angstrom
0.941 -3.978 -2.583
-3.083 -1.436 -3.437
1.229 0.379 -4.662
ATOMIC_POSITIONS crystal
Gd 0.000 0.000 0.000
Cd 0.500 0.500 0.500
Pd 0.250 0.250 0.250
Pd 0.750 0.750 0.750
```

Electronic total energy: -7.00 eV/atom

(2)
Compound: K4MgV2Cu2S8
Source: the Materials Project
Functional: GGA-PBE
Structure: relaxed Values from VASP.

```
&SYSTEM
  ibrav = 0, nat = 17, ntyp = 5
/
ATOMIC_SPECIES
K 39.10 K.upf
Mg 24.30 Mg.upf
V 50.94 V.upf
Cu 63.55 Cu.upf
S 32.06 S.upf
CELL_PARAMETERS angstrom
5.430 0.095 1.301
2.821 6.597 0.676
0.025 0.047 11.882
ATOMIC_POSITIONS crystal
K 0.448 0.750 0.103
K 0.177 0.250 0.647
K 0.807 0.750 0.387
K 0.552 0.250 0.897
Mg 0.752 0.250 0.497
V 0.377 0.250 0.247
V 0.627 0.750 0.746
Cu 0.129 0.750 0.743
Cu 0.879 0.250 0.243
S 0.091 0.450 0.143
S 0.912 0.562 0.854
S 0.235 0.938 0.854
S 0.565 0.542 0.634
S 0.182 0.063 0.368
S 0.451 0.437 0.368
S 0.766 0.051 0.143
S 0.802 0.957 0.634
```

MP2020-corrected energy: -85.8 eV per formula unit

(3)
Compound: Pr2Co5Cu5
Source: the Materials Project
Functional: GGA-PBE
Structure: relaxed Values from VASP.

```
&SYSTEM
  ibrav = 0, nat = 12, ntyp = 3
/
ATOMIC_SPECIES
Pr 140.91 Pr.upf
Co 58.93 Co.upf
Cu 63.55 Cu.upf
CELL_PARAMETERS angstrom
0.000 4.039 0.370
-2.678 0.397 -4.339
-7.377 -0.414 4.515
ATOMIC_POSITIONS crystal
Pr 0.000 0.500 0.000
Pr 0.000 0.000 0.500
Co 0.000 0.500 0.338
Co 0.000 0.000 0.850
Co 0.000 0.000 0.150
Co 0.000 0.500 0.662
Co 0.500 0.000 0.000
Cu 0.500 0.500 0.500
Cu 0.500 0.750 0.248
Cu 0.500 0.250 0.752
Cu 0.500 0.250 0.248
Cu 0.500 0.750 0.752
```

Electronic total energy: -5.47 eV/atom

(4)
Compound: SiO2
Source: the Materials Project
Functional: GGA-PBE
Structure: relaxed Values from VASP.

```
&SYSTEM
  ibrav = 0, nat = 9, ntyp = 2
/
ATOMIC_SPECIES
Si 28.09 Si.upf
O 16.00 O.upf
CELL_PARAMETERS angstrom
-4.266 -1.031 2.440
4.178 -2.582 1.046
1.318 3.698 3.867
ATOMIC_POSITIONS crystal
Si 0.524 0.524 0.000
Si 0.000 0.476 0.667
Si 0.476 0.000 0.333
O 0.256 0.415 0.795
O 0.585 0.841 0.128
O 0.159 0.744 0.461
O 0.415 0.256 0.205
O 0.744 0.159 0.539
O 0.841 0.585 0.872
```

Maximum piezoelectric response: 0.2 C/m2
MP2020-corrected energy: -25.1 eV per formula unit

(5)
Compound: KNp2Se6
Source: the Materials Project
Functional: GGA-PBE
Structure: relaxed Values from VASP.

```
&SYSTEM
  ibrav = 0, nat = 9, ntyp = 3
/
ATOMIC_SPECIES
K 39.10 K.upf
Np 237.00 Np.upf
Se 78.96 Se.upf
CELL_PARAMETERS angstrom
-2.059 2.757 10.893
2.059 -2.757 10.893
2.059 2.757 -10.893
ATOMIC_POSITIONS crystal
K 0.000 0.000 0.000
Np 0.681 0.181 0.500
Np 0.319 0.819 0.500
Se 0.774 0.774 0.000
Se 0.226 0.226 0.000
Se 0.846 0.606 0.240
Se 0.154 0.394 0.760
Se 0.634 0.394 0.240
Se 0.366 0.606 0.760
```

MP2020-corrected energy: -60.1 eV per formula unit
********
Earlier this year the US Supreme Court announced principles of contract interpretation that will help local governments defeat court challenges to future reductions in retiree health care benefits. M&G Polymers vs. Tackett addressed a collective bargaining agreement that provided certain retirees with “a full Company contribution” of their health care benefits “for the duration of [the] Agreement.” When the company asked retirees to start contributing some of their health care premiums, the union sued on the theory that the company had created a vested right in their employees to free lifetime health care.
The union prevailed in the Court of Appeals, which was reversed by a unanimous Supreme Court. Although the case took place in the private sector, the principles should generally apply to public sector agreements on retiree health care benefits.
The Supreme Court began by finding that the express language of the collective bargaining agreement was ambiguous on the question of how long health care benefits would be paid in full by the company. Given that ambiguity, the Supreme Court opined that judges should look for hard evidence of what the parties actually intended, rather than making their own inferences about contractual intent.
The Supreme Court went on to articulate two interpretive principles that will be especially relevant to collective bargaining agreements on health care benefits, which often are unclear on the duration of those benefits. The Supreme Court supported the “traditional principle that courts should not construe ambiguous writings to create lifetime promises.” Instead, the Supreme Court endorsed the principle that “contractual obligations will cease, in the ordinary course, upon termination of the bargaining agreement.”
Potential Reforms To Retiree Health Care Plans
With this guidance from the Supreme Court, states and cities are likely to negotiate express modifications to their retiree health care plans as their collective bargaining contracts expire. It should be relatively easy to agree to premium contributions by retirees or less generous post-retiree benefits if these changes are applied only to newly hired public employees. However, such changes will take decades to have a material financial impact.
On the other hand, it will be politically difficult to reduce the health care benefit package of public employees who have already retired. They presumably stayed in their public jobs in part because they expected to receive certain health care benefits after retirement. Nevertheless, the Supreme Court’s decision would legally allow cities and states to renegotiate the health care package provided to already retired employees — unless the applicable collective bargaining agreement expressly extended that package for the life of such employees. Similarly, the Supreme Court’s decision would legally allow cities and states to renegotiate the post-retirement health care package for current employees after the termination of the current collective bargaining agreement — unless the prior agreement expressly extended the duration of the package.
In these negotiations, local governments and their unions should discuss possible reforms, such as:
- Lower limits on cost of living adjustments (COLAs), which sometimes exceed the inflation index.
- Partial payment of health care premiums by retirees, especially the premiums charged by Medicare.
- Stricter eligibility rules in terms of years of public employment to obtain full health care benefits.
- Required sign-up for health care coverage offered by a private employer if a retiree gets a job in the private sector.
- Co-payments and deductibles for prescription drugs and doctors’ visits (except for preventive care).
- Narrower scope of medical services or separate charges for eye glasses and dental work.
Of course, public employee unions will resist most of these changes, but they may be necessary for many local governments to avoid the “Cadillac” tax beginning in 2018. This levy is a 40 percent excise tax on the annual costs of a health care plan above $10,200 for an individual and $27,500 for a family.
Although precise cost figures are not readily available, many health care plans in the public sector will clearly have to pay the 40 percent Cadillac tax under their current trajectories. For example, the New York deputy mayor estimated that the Cadillac tax would cost his city $22 million in 2018 and $549 million in 2022. Similarly, the association providing a pooled health care plan to municipalities in Washington State estimated that the Cadillac tax could add $76 million in local taxes over the decade starting in 2018— unless health care costs are constrained.
In short, the Supreme Court’s recent decision will lead to the renegotiation of health care benefits at the expiration of the current collective bargaining agreement in most states and cities. In these negotiations, the threat of a Cadillac tax will lead local governments to propose health care plans with more employee contributions and less generous benefits. In response, public unions should not accept these proposals unless local governments commit to a binding schedule to advance fund the revised health care plans. Without assets backing these plans, public retirees have little assurance they will actually receive the promised healthcare benefits in the future.
Renegotiating retiree health care plans after new supreme court guidance
May 7, 2015